Work order.
Your job: print everything further down character by character.

Contents.
-- begin --
A structure of composition C16H31NOP2Zn. Source: the OMol25 dataset; level of theory: ωB97M-V with the def2-TZVPD basis set.

Each line ends with the Mulliken charge.
Geometry (Å):
P  0.30839  -1.80884  -1.71167  1.1369
P  0.31494  2.17605  -0.88617  0.9827
C  -0.07423  -0.22860  -2.49505  -0.7644
C  0.84113  0.96522  -2.15106  -1.2589
H  -1.13772  -0.05448  -2.23801  0.1361
H  -0.07329  -0.40218  -3.58362  0.6254
H  1.86495  0.63779  -1.92726  0.5012
H  0.88357  1.59461  -3.05103  0.7123
C  -0.59605  3.38876  -1.89380  -1.5342
H  -0.92683  4.21668  -1.25524  0.4252
H  -1.46130  2.93495  -2.39168  0.3555
H  0.11178  3.75377  -2.65329  0.5060
C  1.69929  3.12240  -0.22384  -1.3838
H  1.86495  3.96017  -0.92025  0.4248
H  2.61940  2.52154  -0.19760  0.4391
H  1.49753  3.53376  0.77697  0.3644
C  -0.91380  -2.96120  -2.36999  -1.4369
H  -1.13981  -3.73271  -1.61543  0.3930
H  -0.51143  -3.43011  -3.28355  0.4806
H  -1.84274  -2.41726  -2.60973  0.3783
C  1.96411  -2.35525  -2.12137  -1.2724
H  2.65392  -1.49867  -2.18205  0.3715
H  1.94168  -2.85633  -3.11027  0.4134
H  2.33487  -3.06418  -1.36353  0.4242
Zn  2.79012  0.26008  3.25309  -0.4189
C  -1.14513  1.43552  0.06757  0.8376
C  -2.15218  0.66533  -0.65123  -1.6805
C  -3.11038  -0.26267  -0.03498  -0.9803
C  -2.51620  -1.25075  1.04533  -0.6214
C  -1.47331  -2.09711  0.50873  -1.3440
C  -0.14568  -1.74266  0.05229  0.5677
C  0.57373  -0.49674  0.70803  0.5435
C  -0.29406  0.66714  1.17040  -1.4667
C  2.00320  -1.46399  3.92922  -0.9413
H  -1.61707  2.29651  0.60413  0.5915
H  -2.46088  1.07963  -1.61049  0.5240
H  -3.53528  -0.88086  -0.85535  0.2120
H  -3.99662  0.21669  0.41878  0.3609
H  -2.18203  -0.68764  1.93648  0.2756
H  -3.32058  -1.91762  1.41600  0.4202
H  -1.67545  -3.16698  0.43474  0.4380
H  0.47604  -2.62639  0.35394  0.7070
H  1.41712  -0.12642  0.08645  0.2673
H  1.07307  -0.89205  1.61104  -1.0187
H  -0.96519  0.31485  1.95545  0.3552
H  0.34729  1.38924  1.71028  0.5815
H  2.84845  -2.14893  4.06581  0.2354
H  1.29417  -1.91602  3.23404  0.1567
H  1.48263  -1.27165  4.88251  0.2524
O  0.82716  2.72875  5.99990  -0.5941
C  1.35981  2.21464  5.06233  0.6107
N  1.87393  1.68416  4.10403  -0.2917

Forces on the atoms, in the same order (eV/Å):
-2.30 0.84 -0.24
-3.10 -0.26 -1.05
0.40 -0.37 -1.00
0.44 0.21 -0.49
0.34 0.05 0.61
0.44 -0.04 0.11
-0.13 0.16 -0.11
0.30 -0.22 0.09
0.63 0.17 -0.32
0.05 -0.17 -0.16
0.23 0.01 0.27
-0.36 0.20 0.10
0.46 0.04 0.08
-0.11 -0.24 0.21
-0.33 0.05 0.25
-0.01 -0.32 -0.28
0.21 -0.44 -0.62
0.15 0.28 -0.41
-0.34 0.08 0.29
0.40 -0.17 0.20
0.53 -0.26 -0.01
-0.24 -0.33 0.14
-0.04 0.29 0.55
-0.08 0.25 -0.27
0.30 -0.40 -0.46
0.97 0.04 2.45
1.36 -0.09 -1.74
-0.42 -0.73 0.43
-1.52 0.50 0.33
-0.14 -1.28 -0.43
2.75 0.42 0.83
0.10 -0.56 0.32
-0.73 0.54 0.37
0.26 -0.23 0.14
0.93 0.42 0.00
-0.43 0.32 0.22
0.06 0.04 0.42
0.00 -0.04 0.32
-0.46 -0.39 -0.51
0.25 0.40 -0.26
-0.11 0.24 0.10
-0.06 0.32 0.08
-0.32 -0.32 0.17
-0.17 0.32 -0.45
0.41 0.30 -0.19
-0.03 -0.25 -0.25
-0.33 -0.15 0.15
-0.04 -0.21 0.04
0.26 -0.11 -0.29
0.29 -0.13 -0.47
0.52 -0.79 -1.11
-1.23 1.99 1.84

Relative energy (zero: lowest compared OMol25 entry of this formula, charge and spin) in kcal/mol: 124.0
Orbital gap (spin up / spin down) in eV: 5.25 / 3.82

=====

A structure of composition C7H14AgF12N8O12S4, computed with the ωB97M-V functional and the def2-TZVPD basis.

```
58
Properties=species:S:1:pos:R:3:forces:R:3:mulliken_charge:R:1
Ag 0.182007 -0.199081 -0.375216 -0.7352 -0.1016 0.7900 4.0161
C -1.541469 2.301853 -3.543189 -0.3569 -0.5178 0.3606 0.5904
F -2.220379 3.434554 -3.461453 -0.4225 0.3019 0.1860 -0.2262
F -1.593673 1.876277 -4.777922 0.1269 -0.2171 -0.4008 -0.1901
F -0.294270 2.553834 -3.188007 0.3588 -0.1761 0.0872 -0.1801
S -2.368127 1.068285 -2.339307 -1.3695 2.1583 1.0456 0.4644
O -2.613007 1.936608 -1.185041 0.9929 -1.1578 -0.7295 -0.8484
O -3.607530 0.661489 -2.962025 1.6083 -0.6128 -0.1495 -0.5304
-- stop --

Response.
A structure of composition C16H31NOP2Zn. Source: the OMol25 dataset; level of theory: ωB97M-V with the def2-TZVPD basis set.

Each line ends with the Mulliken charge.
Geometry (Å):
P  0.30839  -1.80884  -1.71167  1.1369
P  0.31494  2.17605  -0.88617  0.9827
C  -0.07423  -0.22860  -2.49505  -0.7644
C  0.84113  0.96522  -2.15106  -1.2589
H  -1.13772  -0.05448  -2.23801  0.1361
H  -0.07329  -0.40218  -3.58362  0.6254
H  1.86495  0.63779  -1.92726  0.5012
H  0.88357  1.59461  -3.05103  0.7123
C  -0.59605  3.38876  -1.89380  -1.5342
H  -0.92683  4.21668  -1.25524  0.4252
H  -1.46130  2.93495  -2.39168  0.3555
H  0.11178  3.75377  -2.65329  0.5060
C  1.69929  3.12240  -0.22384  -1.3838
H  1.86495  3.96017  -0.92025  0.4248
H  2.61940  2.52154  -0.19760  0.4391
H  1.49753  3.53376  0.77697  0.3644
C  -0.91380  -2.96120  -2.36999  -1.4369
H  -1.13981  -3.73271  -1.61543  0.3930
H  -0.51143  -3.43011  -3.28355  0.4806
H  -1.84274  -2.41726  -2.60973  0.3783
C  1.96411  -2.35525  -2.12137  -1.2724
H  2.65392  -1.49867  -2.18205  0.3715
H  1.94168  -2.85633  -3.11027  0.4134
H  2.33487  -3.06418  -1.36353  0.4242
Zn  2.79012  0.26008  3.25309  -0.4189
C  -1.14513  1.43552  0.06757  0.8376
C  -2.15218  0.66533  -0.65123  -1.6805
C  -3.11038  -0.26267  -0.03498  -0.9803
C  -2.51620  -1.25075  1.04533  -0.6214
C  -1.47331  -2.09711  0.50873  -1.3440
C  -0.14568  -1.74266  0.05229  0.5677
C  0.57373  -0.49674  0.70803  0.5435
C  -0.29406  0.66714  1.17040  -1.4667
C  2.00320  -1.46399  3.92922  -0.9413
H  -1.61707  2.29651  0.60413  0.5915
H  -2.46088  1.07963  -1.61049  0.5240
H  -3.53528  -0.88086  -0.85535  0.2120
H  -3.99662  0.21669  0.41878  0.3609
H  -2.18203  -0.68764  1.93648  0.2756
H  -3.32058  -1.91762  1.41600  0.4202
H  -1.67545  -3.16698  0.43474  0.4380
H  0.47604  -2.62639  0.35394  0.7070
H  1.41712  -0.12642  0.08645  0.2673
H  1.07307  -0.89205  1.61104  -1.0187
H  -0.96519  0.31485  1.95545  0.3552
H  0.34729  1.38924  1.71028  0.5815
H  2.84845  -2.14893  4.06581  0.2354
H  1.29417  -1.91602  3.23404  0.1567
H  1.48263  -1.27165  4.88251  0.2524
O  0.82716  2.72875  5.99990  -0.5941
C  1.35981  2.21464  5.06233  0.6107
N  1.87393  1.68416  4.10403  -0.2917

Forces on the atoms, in the same order (eV/Å):
-2.30 0.84 -0.24
-3.10 -0.26 -1.05
0.40 -0.37 -1.00
0.44 0.21 -0.49
0.34 0.05 0.61
0.44 -0.04 0.11
-0.13 0.16 -0.11
0.30 -0.22 0.09
0.63 0.17 -0.32
0.05 -0.17 -0.16
0.23 0.01 0.27
-0.36 0.20 0.10
0.46 0.04 0.08
-0.11 -0.24 0.21
-0.33 0.05 0.25
-0.01 -0.32 -0.28
0.21 -0.44 -0.62
0.15 0.28 -0.41
-0.34 0.08 0.29
0.40 -0.17 0.20
0.53 -0.26 -0.01
-0.24 -0.33 0.14
-0.04 0.29 0.55
-0.08 0.25 -0.27
0.30 -0.40 -0.46
0.97 0.04 2.45
1.36 -0.09 -1.74
-0.42 -0.73 0.43
-1.52 0.50 0.33
-0.14 -1.28 -0.43
2.75 0.42 0.83
0.10 -0.56 0.32
-0.73 0.54 0.37
0.26 -0.23 0.14
0.93 0.42 0.00
-0.43 0.32 0.22
0.06 0.04 0.42
0.00 -0.04 0.32
-0.46 -0.39 -0.51
0.25 0.40 -0.26
-0.11 0.24 0.10
-0.06 0.32 0.08
-0.32 -0.32 0.17
-0.17 0.32 -0.45
0.41 0.30 -0.19
-0.03 -0.25 -0.25
-0.33 -0.15 0.15
-0.04 -0.21 0.04
0.26 -0.11 -0.29
0.29 -0.13 -0.47
0.52 -0.79 -1.11
-1.23 1.99 1.84

Relative energy (zero: lowest compared OMol25 entry of this formula, charge and spin) in kcal/mol: 124.0
Orbital gap (spin up / spin down) in eV: 5.25 / 3.82

=====

A structure of composition C7H14AgF12N8O12S4, computed with the ωB97M-V functional and the def2-TZVPD basis.

```
58
Properties=species:S:1:pos:R:3:forces:R:3:mulliken_charge:R:1
Ag 0.182007 -0.199081 -0.375216 -0.7352 -0.1016 0.7900 4.0161
C -1.541469 2.301853 -3.543189 -0.3569 -0.5178 0.3606 0.5904
F -2.220379 3.434554 -3.461453 -0.4225 0.3019 0.1860 -0.2262
F -1.593673 1.876277 -4.777922 0.1269 -0.2171 -0.4008 -0.1901
F -0.294270 2.553834 -3.188007 0.3588 -0.1761 0.0872 -0.1801
S -2.368127 1.068285 -2.339307 -1.3695 2.1583 1.0456 0.4644
O -2.613007 1.936608 -1.185041 0.9929 -1.1578 -0.7295 -0.8484
O -3.607530 0.661489 -2.962025 1.6083 -0.6128 -0.1495 -0.5304